Grinnell’s Veterans Memorial leadership committee recently held public input meetings as part of efforts to design a new veterans monument that will replace the current memorial building in Central Park. The leadership committee showed optimism about the project’s direction, but many attendees, mostly veterans and their family members, had mixed reactions.
At the March 11 meeting, principal architect Mark Kuiper from Ritland + Kuiper Landscape Architects and public art consultant Joe Tuggle Lacina walked through the three different options for the memorial — a flag, a flame or a star. Kuiper told The S&B it will be one of the first veterans memorials that will have an aspect of interactivity.
- - -
No. 1
VASP calculation (GGA-PBE) on an optimized crystal structure of Hf2Cu2Hg.

Properties
- DFT formation energy: 0.145 eV/atom
- Energy above the most stable polymorph in this dataset: 290 meV/atom
- Final energy: -5.535 eV per atom

a = 7.9053 Å, b = 7.9053 Å, c = 3.0113 Å
α = 90.00°, β = 90.00°, γ = 90.00°
With the nearest neighbours (Å) after each atom.
Element x y z (fractional)
Cu: 0.8745 0.3745 0.5000  6 Hf 2.76-2.79, 3 Cu 2.81-3.01
Cu: 0.3745 0.1255 0.5000  6 Hf 2.76-2.79, 3 Cu 2.81-3.01
Cu: 0.6255 0.8745 0.5000  6 Hf 2.76-2.79, 3 Cu 2.81-3.01
Cu: 0.1255 0.6255 0.5000  6 Hf 2.76-2.79, 3 Cu 2.81-3.01
Hg: 0.5000 0.5000 0.0000  4 Hf 2.95, 2 Hg 3.01
Hg: 0.0000 0.0000 0.0000  4 Hf 2.95, 2 Hg 3.01
Hf: 0.6647 0.1647 0.0000  6 Cu 2.76-2.79, 2 Hg 2.95, 2 Hf 3.01
Hf: 0.8353 0.6647 0.0000  6 Cu 2.76-2.79, 2 Hg 2.95, 2 Hf 3.01
Hf: 0.1647 0.3353 0.0000  6 Cu 2.76-2.79, 2 Hg 2.95, 2 Hf 3.01
Hf: 0.3353 0.8353 0.0000  6 Cu 2.76-2.79, 2 Hg 2.95, 2 Hf 3.01

No. 2
VASP calculation (GGA-PBE) on an optimized crystal structure of CdGeAs2I.

Properties
- Formation energy (no corrections): 862 meV/atom
- Final energy: -2.414 eV per atom

a = 5.0961 Å, b = 5.7241 Å, c = 5.0961 Å
α = 90.00°, β = 90.00°, γ = 90.00°
With the nearest neighbours (Å) after each atom.
Element x y z (fractional)
Ge: 0.0000 0.5000 0.0000  2 Cd 2.86
As: 0.5000 0.0000 0.0000  2 Cd 2.55
As: 0.0000 0.0000 0.5000  2 Cd 2.55
Cd: 0.0000 0.0000 0.0000  4 As 2.55
I: 0.5000 0.5000 0.5000  4 Ge 3.60, 8 As 3.83

No. 3
VASP calculation (GGA-PBE) on an optimized crystal structure of ErPd3Pb.

Properties
- DFT formation energy: -0.651 eV/atom
- Final energy: -5.420 eV per atom

a = 4.6760 Å, b = 5.7553 Å, c = 7.5571 Å
α = 90.00°, β = 90.00°, γ = 90.00°
With the nearest neighbours (Å) after each atom.
Element x y z (fractional)
Pb: 0.2500 0.2500 0.5493  3 Pd 2.74-2.79
Pb: 0.7500 0.7500 0.4507  3 Pd 2.74-2.79
Pd: 0.2500 0.9882 0.2380  5 Pd 2.74-3.01, 1 Pb 2.79, 2 Er 2.90
Pd: 0.2500 0.5118 0.2380  5 Pd 2.74-3.01, 1 Pb 2.79, 2 Er 2.90
Pd: 0.7500 0.0118 0.7620  5 Pd 2.74-3.01, 1 Pb 2.79, 2 Er 2.90
Pd: 0.7500 0.7500 0.0886  1 Pb 2.74, 4 Er 2.87-2.90, 6 Pd 2.89-2.94
Pd: 0.2500 0.2500 0.9114  1 Pb 2.74, 4 Er 2.87-2.90, 6 Pd 2.89-2.94
Pd: 0.7500 0.4882 0.7620  5 Pd 2.74-3.01, 1 Pb 2.79, 2 Er 2.90
Er: 0.7500 0.2500 0.1306  10 Pd 2.87-3.10
Er: 0.2500 0.7500 0.8694  10 Pd 2.87-3.10

No. 4
VASP calculation (GGA-PBE) on an optimized crystal structure of BaTl2Si.

Properties
- Formation energy (no corrections): 65 meV/atom
- Energy above the most stable polymorph in this dataset: 181 meV/atom
- Final energy: -2.955 eV per atom

a = 5.2173 Å, b = 5.2173 Å, c = 10.8928 Å
α = 76.14°, β = 76.14°, γ = 90.00°
With the nearest neighbours (Å) after each atom.
Element x y z (fractional)
Ba: 0.7500 0.2500 0.5000  4 Tl 3.44, 4 Si 3.69
Ba: 0.0000 0.0000 0.0000  4 Tl 3.44, 4 Si 3.69
Si: 0.5000 0.5000 0.0000  4 Tl 2.96
Si: 0.2500 0.7500 0.5000  4 Tl 2.96
Tl: 0.8750 0.7638 0.7500  2 Si 2.96, 2 Tl 2.98
- - -
When Kuiper flipped to the star design, an attendee from the community said, “It just looks like modern art.”
Near the end of the meeting, the Veterans Steering Committee almost unanimously decided to only move forth with the flag design as a possibility. Loosely coiled and spiraling up to the sky, the flag will be lit from the inside, where there is also a flat, circular path visitors can enter. It will be made from metal panels, with the stripes indicated by darker, perforated metal. Lacina said he and the architect are shooting for 35 to 45 feet for the monument’s height.
However, an attendee, Pam Blagden, 70, criticized the designs.“As a daughter of a veteran, I’m sure none of them would have agreed with any of them.” She said she preferred a simpler, traditional style, like the Veterans Memorial Park in Montezuma.
“They have a granite wall with all five emblems on it, so they know exactly it is the Veterans Memorial Park.”
Randy Hotchkin, 55, vice-chair of the Veterans Commission, disagreed with Blagden.
“We’d like to have something that’s unique,” he said. “I don’t want people to walk up to this and say Grinnell College took this over.”
However, he personally preferred a different design. Addressing some of the public’s concerns at the March 11 meeting, Hotchkin pulled out a small eagle statue that belonged to his father, a Vietnam veteran, as a model for his ideal monument. Although Hotchkin said he preferred an eagle, he also is content with the flag design the committee ultimately moved on with.
At the March 25 meeting, mock-ups of the flag design were shown to the public. Signs explained that the primary goals of the monument were to create a unique structure that could honor all veterans, past, present and future, and create a space for reflection.
Byron Hueftle-Worley, at-large member of the city council, said he thought the flag design could draw people in. “The flag doesn’t tell you what to think, it just lets you think about it.”
Police Chief Michael McClelland suggested that the monument could be incorporated into national events like Memorial Day, Fourth of July and Veterans Day.
Many community members The S&B spoke with, however, were disappointed.
“When I see the flag, I think of the U.S.A.,” said Susie Sondag. “It does not resemble the veterans who died.”
In contrast, Val Vetter, 76, said that she was expecting something even more “abstract” and “contemplative.”
“I was very taken aback when I saw in the paper that it was something that doesn’t seem like it would fit with the design of the park. It didn’t have a prairie aesthetic,” she said.
Lamoyne Gaard, a veteran unaffiliated with the leadership committee, set up a model of his own design next to the official one — a cylindrical monument topped with clay soldiers recreating the flag-raising on Iwo Jima during World War II. Explaining that each soldier would represent “different times and places in American history,” Gaard said his design had “humanity,” while the current design was “cold and impersonal.”

Another veteran, who did not want to be named, showed The S&B sketches he had drawn up of possible modifications that could be made to the current veterans’ memorial building instead.
According to Tom Lacina, a volunteer for the project, the committee “went in with eyes wide open,” adding that modifications were still open for discussion.
Hueftle-Worley added that criticism was to be expected — “I can’t imagine a single person in town will take time off from their evening to come in and say, ‘Yep, I like the way you’ve designed this.’”
The committee remains optimistic the flag design will be well-received by the general community. Lacina said that others “loved” the design and were eager to see it built.
They highlighted, however, that final plans were contingent on funding. Community members who had previously donated to the Grinnell Veterans Memorial Building renovation fund will be given a choice to keep the donation, redirect it or withdraw. They said they expected new donations to cancel out any losses.
What comes next are records of crystals, not part of the text
'''
[1]
{
  "formula": "Li2MoO6",
  "functional": "GGA+U",
  "state": "relaxed",
  "dos_ef_per_ev_atom": 0.6026,
  "e_tot_ev_per_atom": -5.403,
  "lattice_angstrom": [[4.782, 0.000, 0.000], [0.000, 4.782, 0.000], [0.000, 0.000, 9.212]],
  "species": ["Li", "Li", "Li", "Li", "Mo", "Mo", "O", "O", "O", "O", "O", "O", "O", "O", "O", "O", "O", "O"],
  "frac_coords": [[0.000, 0.000, 0.337], [0.500, 0.500, 0.837], [0.500, 0.500, 0.163], [0.000, 0.000, 0.663], [0.000, 0.000, 0.000], [0.500, 0.500, 0.500], [0.300, 0.300, 0.348], [0.700, 0.700, 0.348], [0.200, 0.800, 0.848], [0.800, 0.200, 0.848], [0.200, 0.800, 0.152], [0.800, 0.200, 0.152], [0.300, 0.300, 0.652], [0.700, 0.700, 0.652], [0.282, 0.282, 0.000], [0.718, 0.718, 0.000], [0.218, 0.782, 0.500], [0.782, 0.218, 0.500]]
}

=====

[2]
{
  "formula": "LiMoO6",
  "functional": "GGA+U",
  "state": "relaxed",
  "dos_ef_per_ev_atom": 0.9037,
  "e_tot_ev_per_atom": -5.240,
  "lattice_angstrom": [[5.585, 0.000, 0.000], [2.793, 4.837, 0.000], [2.793, 1.612, 4.560]],
  "species": ["Li", "Mo", "O", "O", "O", "O", "O", "O"],
  "frac_coords": [[0.500, 0.500, 0.500], [0.000, 0.000, 0.000], [0.756, 0.756, 0.244], [0.756, 0.244, 0.244], [0.244, 0.756, 0.756], [0.244, 0.244, 0.756], [0.244, 0.756, 0.244], [0.756, 0.244, 0.756]]
}

=====

[3]
{
  "formula": "Li2Mo3O9",
  "functional": "GGA+U",
  "state": "relaxed",
  "e_tot_ev_per_atom": -6.568,
  "lattice_angstrom": [[8.503, 0.000, 0.000], [-4.252, 7.364, 0.000], [0.000, 0.000, 9.993]],
  "species": ["Li", "Li", "Li", "Li", "Mo", "Mo", "Mo", "Mo", "Mo", "Mo", "O", "O", "O", "O", "O", "O", "O", "O", "O", "O", "O", "O", "O", "O", "O", "O", "O", "O"],
  "frac_coords": [[0.667, 0.333, 0.445], [0.667, 0.333, 0.055], [0.333, 0.667, 0.945], [0.333, 0.667, 0.555], [0.850, 0.714, 0.250], [0.286, 0.136, 0.250], [0.864, 0.150, 0.250], [0.136, 0.850, 0.750], [0.714, 0.864, 0.750], [0.150, 0.286, 0.750], [0.882, 0.776, 0.750], [0.783, 0.586, 0.399], [0.783, 0.586, 0.101], [0.224, 0.107, 0.750], [0.803, 0.217, 0.101], [0.803, 0.217, 0.399], [0.414, 0.197, 0.101], [0.414, 0.197, 0.399], [0.107, 0.882, 0.250], [0.893, 0.118, 0.750], [0.586, 0.803, 0.899], [0.586, 0.803, 0.601], [0.197, 0.783, 0.601], [0.197, 0.783, 0.899], [0.776, 0.893, 0.250], [0.217, 0.414, 0.601], [0.217, 0.414, 0.899], [0.118, 0.224, 0.250]]
}

=====

[4]
{
  "formula": "LiMoO3",
  "functional": "GGA+U",
  "state": "relaxed",
  "dos_ef_per_ev_atom": 0.4512,
  "e_tot_ev_per_atom": -5.225,
  "lattice_angstrom": [[3.496, 0.000, 0.000], [0.000, 3.496, 0.000], [0.000, 0.000, 3.496]],
  "species": ["Mo", "O", "O", "O", "Li"],
  "frac_coords": [[0.500, 0.500, 0.500], [0.000, 0.500, 0.000], [0.000, 0.000, 0.500], [0.500, 0.000, 0.000], [0.000, 0.000, 0.000]]
}

=====

[5]
{
  "formula": "Li2MoO",
  "functional": "GGA+U",
  "state": "relaxed",
  "dos_ef_per_ev_atom": 0.1426,
  "e_tot_ev_per_atom": -4.433,
  "lattice_angstrom": [[-0.750, 2.594, -6.933], [5.011, -4.951, -2.394], [0.530, -2.621, -5.030]],
'''
Construction is expected to start in 2025 at the earliest.